Anyone who's in the STEM path to MBA

So I’m interested in learning about Business administration. I think it’d be useful.

But I’m not really sure if I’d wanna stay for another year, pay all that money, and get the MBA degree. I know about the 700 GMAT scholarship, but I’m not sure how easy or hard that is to get.

Inserted here: crystal structures =
- - -
For TaTl2BiO8, a GGA-PBE-relaxed structure gives the theoretical powder X-ray diffraction pattern in this record (copper Kα).
Neutral-atom scattering factors, no anomalous dispersion.

Main lines, sorted by position (2θ = 10–80°):
| d (Å) | I/Imax |
| --- | --- |
| 3.660 | 608 |
| 3.512 | 525 |
| 2.793 | 1000 |
| 2.534 | 333 |
| 1.898 | 418 |
| 1.856 | 366 |
| 1.583 | 105 |
| 1.508 | 222 |
| 1.396 | 115 |
| 1.318 | 102 |

Cell and atoms:
a b c (Å): 5.0730 5.0730 6.6929
angles (deg): 90.00 90.00 92.36
Fractional positions:
1 Ta 0.0000 0.0000 0.0000
2 Tl 0.5000 0.5000 0.2424
3 Tl 0.5000 0.5000 0.7576
4 Bi 0.0000 0.0000 0.5000
5 O 0.1786 0.8214 0.2334
6 O 0.1786 0.8214 0.7666
7 O 0.2837 0.2837 0.0000
8 O 0.2984 0.2984 0.5000
9 O 0.7016 0.7016 0.5000
10 O 0.7163 0.7163 0.0000
11 O 0.8214 0.1786 0.2334
12 O 0.8214 0.1786 0.7666

~~~~~

NaRh6Se8: simulated PXRD pattern (Cu Kα), based on a cell relaxed with GGA-PBE.
No peak broadening, texture or thermal motion is included.

The 12 most intense peaks (2θ from 5° to 70°), sorted by position:
2theta	I/Imax	h k l
13.14	100	1 0 1
26.46	14	2 0 2
29.55	18	3 -1 1
32.49	65	3 -2 2
37.93	18	0 2 4
40.00	50	4 -3 1
42.32	14	3 1 2
42.54	26	2 1 4
44.57	53	2 2 3
48.93	19	3 -2 5
50.52	30	5 -3 2
58.06	17	3 2 4

a = 9.5663 Å, b = 9.5663 Å, c = 11.5760 Å
α = 90.00°, β = 90.00°, γ = 120.00°
Space group R-3 (No. 148, hexagonal axes)
Inequivalent atoms, fractional coordinates:
Na 0.0000 0.0000 0.0000 (multiplicity 3)
Rh 0.0226 0.1977 0.3831 (multiplicity 18)
Se 0.0000 0.0000 0.2387 (multiplicity 6)
Se 0.0150 0.3931 0.2477 (multiplicity 18)

~~~~~

(1)
TbDy3Ir: computed X-ray diffraction stick pattern (Cu Ka), based on a PBE-relaxed structure.
Lines closer than 0.1° are merged.

Atomic structure:
Cell: 7.621 6.527 6.186 Å, 90.00 90.00 90.00°
Atoms (fractional coordinates):
1 Tb 0.000 0.152 0.000
2 Tb 0.500 0.848 0.500
3 Dy 0.000 0.847 0.493
4 Dy 0.250 0.314 0.497
5 Dy 0.250 0.686 0.997
6 Dy 0.500 0.153 0.993
7 Dy 0.750 0.314 0.497
8 Dy 0.750 0.686 0.997
9 Ir 0.000 0.501 0.747
10 Ir 0.500 0.499 0.247

Principal peaks in the range 2θ from 5° to 70°, in order of rising 2θ:
d [Å]  I_rel
3.868  25
2.905  100
2.887  45
2.254  40
2.245  21
1.905  23
1.889  30
1.747  23

(2)
Ac3Re2N8: computed X-ray diffraction stick pattern (Cu Ka), based on a PBE-relaxed structure.
Lines closer than 0.1° are merged.

Atomic structure:
Cell: 7.870 7.870 7.870 Å, 43.54 43.54 43.54°
Atoms (fractional coordinates):
1 Ac 0.000 0.000 0.000
2 Ac 0.204 0.204 0.204
3 Ac 0.796 0.796 0.796
4 Re 0.407 0.407 0.407
5 Re 0.593 0.593 0.593
6 N 0.224 0.734 0.734
7 N 0.266 0.266 0.776
8 N 0.266 0.776 0.266
9 N 0.322 0.322 0.322
10 N 0.678 0.678 0.678
11 N 0.734 0.224 0.734
12 N 0.734 0.734 0.224
13 N 0.776 0.266 0.266

Principal peaks in the range 2θ from 5° to 70°, in order of rising 2θ:
d [Å]  I_rel
3.261  100
2.919  84
2.175  38
1.966  26
1.744  35
1.685  17
1.630  14
1.423  21

(3)
- - -

So my question is, is the STEM path to MBA useful? Do you really learn important stuff in those 1.5 hour classes every semester? I don’t know whether I should apply to this program.

Keep in mind that you can drop out of the “Stem Path to the MBA” program at any time. My son initially thought he might want to complete the full program, but left after three semesters due to a variety of reasons. However, he really liked the 1.5 hour classes and got a LOT out of them. He found them very valuable and felt that he got a “business edge” to balance out his STEM education, even though he took only three classes.

My daughter really, really likes her STEM-MBA classes and has learned tons of helpful material that is useful whether you stay in the program or not.

My son may be entering college this fall. When do you apply?

FYI- The actual rules for the scholarships tend to change frequently and ahead of the posted information. Contact Rob Morgan, the program director, for the most up to date information:

@perch1024 I think you can apply once you’re admitted to the Honors College

Another thing to be aware of - The 1.5 credit course each semester also counts as Honors credit.

My son was in the program for 5 semesters. He then did a co-op and decided the MBA path is not what he wants currently. He has dropped out of the program. If he had to do it over again, he wouldn’t change a thing. Besides the class, the program brings speakers to campus for small group meetings and has off campus tours of various businesses.

The 700 GMAT scholarship is no longer current information. I’m a current senior in the program (so final, MBA year next year), and my class was the last one that guaranteed a scholarship based on a 700 on the GMAT. No word on how scholarships will be distributed in years to come, however, all of my friends who did not get a 700 GMAT are applying for Graduate Assistantships, on-campus jobs that pay a monthly stipend. Some of those GA positions cover tuition, but that varies depending on the position. (All this to say that it’s not necessarily true that you will have to pay full-freight for the MBA semesters).

If it’s something you’re interested in, I would recommend going for it. Like others have said, you can drop out of the program later on if you decide it isn’t the path you want to pursue. You’ll gain teamwork and presentation experience that you generally don’t in undergraduate programs. You can apply as soon as you’re accepted into the Honors College, and it’s a pretty straightforward application (website found here:

Thanks, everybody. I’m just gonna try it out.

@MathMajorUA Is the admission automatic if you have the stats? It says 3.5 GPA and 28 ACT.
I have 3.9 and 1450 on the SAT. So will I be automatically in if I apply? Or is the essay super important?

@wolfwing123 I’ve never heard of anyone with the stats not getting in as long as there are still seats in the freshman class (usually, seats don’t fill up completely until May or June). I think you should put some thought into the essay portion, but I feel like “essay” is a misnomer. It can really be like 2-3 sentences explaining why you think the program is valuable to you and what you would like to do in the future.